Global Politics
Once the politics that when former LRA combatants are convicted they money will be awarded, we shall see all former LRA commander behind bar
CAPTION: Thomas Kwoyelo from extreme left, chart with his team of Lawyers, Geoffrey Anyuru, third right, Clab Alaka, second right, extreme right Ocheng) moment after their highlight of court submission a month ago
“Instead for the court assessors to advices ICD court, I.C.D Court registrar lock in the Court Assessors for an hour in their office, when assessor failed to deliver her summing up submission.
“My son Kwoyelo is now a ram, he was a good man to us, but now he is facing the atrocity committed in Uganda, the world has closed on him.” Roselyn Oyella, 101 years old, Kwoyelo mother lamented.
GULU CITY-MONDAY August 12, 2024
By Okumu Livingstone Langol
Tuesday, August 13, 2024. Is going to be a landmark ruling for the people of Northern Uganda as the four Judges will decide on their verdict to convict or set the former Lord Resistance Operation Army Commander free.
Ongee Peter Pa’ Adok, 60 years old, is a Market Vendor in Gulu City Main Market dealing in second hand clothes says the issues of Kwoyelo are not going to help us, because the conviction of Thomas Kwoyelo will not have an impact in the region.
_Records of crystals from another source follow_
~~~
Entry 1:
Structure and simulated X-ray diffraction stick pattern of Li3Cu4Si2 (the GGA-PBE geometry in Alexandria; Cu Kα (λ = 1.5418 Å)).
Neutral-atom scattering factors, no anomalous dispersion.

Crystal structure
```
data_Li3Cu4Si2
_chemical_formula_sum 'Li3 Cu4 Si2'
_space_group_name_H-M_alt 'P -3 m 1'
_space_group_IT_number 164
_space_group_name_Hall '-P 3 2"'
_cell_length_a 4.0658
_cell_length_b 4.0658
_cell_length_c 7.6406
_cell_angle_alpha 90.00
_cell_angle_beta 90.00
_cell_angle_gamma 120.00
loop_
_atom_site_label
_atom_site_fract_x
_atom_site_fract_y
_atom_site_fract_z
Li1 0.0000 0.0000 0.0000
Li2 0.3333 0.6667 0.5578
Cu1 0.0000 0.0000 0.3234
Cu2 0.3333 0.6667 0.8847
Si1 0.3333 0.6667 0.2160
```

Most intense lines, 2θ = 10–90°, most intense first:
two_theta	Rel. int.
43.87	100
44.57	95
27.90	76
34.65	41
64.32	30
81.62	29

Entry 2:
Structure and simulated X-ray diffraction stick pattern of Li2CuSiTe4 (the GGA-PBE geometry in Alexandria; Cu Kα (λ = 1.5418 Å)).
Neutral-atom scattering factors, no anomalous dispersion.

Crystal structure
```
data_Li2CuSiTe4
_chemical_formula_sum 'Li4 Cu2 Si2 Te8'
_space_group_name_H-M_alt 'C 1 2 1'
_space_group_IT_number 5
_cell_length_a 9.027
_cell_length_b 11.358
_cell_length_c 6.380
_cell_angle_alpha 90.00
_cell_angle_beta 134.97
_cell_angle_gamma 90.00
loop_
_space_group_symop_operation_xyz
'x,y,z'
'-x,y,-z'
'x+1/2,y+1/2,z'
'-x+1/2,y+1/2,-z'
loop_
_atom_site_label
_atom_site_fract_x
_atom_site_fract_y
_atom_site_fract_z
Li1 0.000 0.000 0.000
Li2 0.000 0.250 0.500
Cu1 0.000 0.750 0.500
Si1 0.000 0.500 0.000
Te1 0.222 0.628 0.464
Te2 0.242 0.372 0.021
```

Most intense lines, 2θ = 10–90°, most intense first:
two_theta	Rel. int.
25.20	100
42.62	33
47.82	30
27.96	21
39.95	19
15.93	14

Entry 3:
Structure and simulated X-ray diffraction stick pattern of LiThCuSi2 (the GGA-PBE geometry in Alexandria; Cu Kα (λ = 1.5418 Å)).
Neutral-atom scattering factors, no anomalous dispersion.

Crystal structure
```
data_LiThCuSi2
_chemical_formula_sum 'Li2 Th2 Cu2 Si4'
_space_group_name_H-M_alt 'I -4 m 2'
_space_group_IT_number 119
_space_group_name_Hall 'I -4 -2'
_cell_length_a 4.128
_cell_length_b 4.128
_cell_length_c 10.056
_cell_angle_alpha 90.00
_cell_angle_beta 90.00
_cell_angle_gamma 90.00
loop_
_atom_site_label
_atom_site_fract_x
_atom_site_fract_y
_atom_site_fract_z
Li1 0.000 0.000 0.000
Th1 0.000 0.500 0.750
Cu1 0.000 0.000 0.500
Si1 0.000 0.500 0.132
```

Most intense lines, 2θ = 10–90°, most intense first:
two_theta	Rel. int.
23.29	100
35.56	88
34.47	74
56.95	35
43.87	34
17.64	31

Entry 4:
Structure and simulated X-ray diffraction stick pattern of Li6SmCu2 (the GGA-PBE geometry in Alexandria; Cu Kα (λ = 1.5418 Å)).
Neutral-atom scattering factors, no anomalous dispersion.

Crystal structure
```
data_Li6SmCu2
_chemical_formula_sum 'Li6 Sm1 Cu2'
_space_group_name_H-M_alt 'P 4/m m m'
_space_group_IT_number 123
_space_group_name_Hall '-P 4 2'
_cell_length_a 3.930
_cell_length_b 3.930
_cell_length_c 10.917
~~~
_End of the records of crystals_
“The International Crimes Division, first of all, is not known unlike the International Criminal Court, (ICC), the people have no respect for it.” Ongee Peter reasoned.
Walter Okwera, handout clothes seller in Gulu Main Market when contacted by The Guardian News, first of all laughs.
“I see that the Judges of the I.C.D have already made up their mind to convict Thomas Kwoyelo, , my augment arose socio-political economy , he alleged that the Judges had agreed, no any amount of defense witnesses is going to be against the position made already.”
A group of 10 boda boda who sit opposite Gulu City, Main Market, when contacted for their opinion, say they are not a party for whatsoever happening in ICD court.
“We don’t have any comments.” They spoke in unison.
Stephen Olanya, Local Council I for Green Valley, parish, Bardege Layibi City Division when contacted by the Guardians News. Says his interest is only one on Thomas Kwoyelo, let the I.C.D release him, and he has no case to answer.
Because it was not only Kwoyelo who have committed war crimes, against Humanity, in Northern Uganda, how about the former LRA commanders who are walking free on Gulu City streets, even Uganda People Defense Forces (UPDF) commander including president Museveni, they have committed crimes against Humanity War crimes, but they are not being arrested.
“Kwoyelo was arrested when he was 12 years old, like any other former child soldiers, he has to be set free. In 1986, president Museveni when he entered Lamogi Sub County, he killed 30 people, he should have faced I.C.D court, who buried over 100, people alive in mass graves in Burcoro, Piacho Sub County. And Mukura railway station in Kumi district, not the then National Resistance Army?” Olanya warned.
Alex Bongojana, a business man in Gulu City, says it is really true Thomas Kwoyelo was arrested by the Holy Spirit Movement in 1992, on his way from school. Then he deserved being a freeman, otherwise the world has condemned him and entirely he was associated with a lot of issues.
“Kwoyelo was arrested when he was young, in 2009 when he surrendered to UPDF, instead the Uganda Army denied him Amnesty which is still in place, locked him for 16 years incommunicado, why are they still wanted to lock him furthermore. The year he spends in the cell is enough.” Bongojana lamented.
Retired Senior Civil Servant, James Latigo 78 years old, says the judges have to look and review the witnesses case by case.
“This depends on witnesses and defense team lawyers, how the defense lawyers handled from the guilty position to the will of judges.” Latigo reasoned.
He further drives in the detail, says if the Assessors advises court that Kwoyelo has spent one and half decades inside without being convicted, judges will pass their judgments based on the Assessors advice.
Other options, president Museveni will consider Kwoyelo case among the long capital convicts he has been pardoning, so the former LRA commander Kwoyelo may be lucky.
Dalton Charles Opwonya, Thomas Kwoyelo lead Lawyers on August, 2, 2024 soon after the three Court I.C.D Assessors summing up their submission on Kwoyelo. The Guardians News catches up with one on one.
Dalton Charles Opwoya, what is the summing up of I.C.D court Assessors?
To me the two courts Assessor gave their advice to the court based on the strength of witnesses, their merit and demerit.
The last Assessor, Nighty Ajok, made the worst assessor, she failed to deliver.
This lady called Nighty, when her turn comes for giving her summing up submission, she failed mid way, and she was called inside court
“She was called in the Registry office and they spent an hour on what they were doing. Instead of the Assessors to advise the court, now the Assessors are doctored by the Registrar of ICD, one translator completely does not know how to translate English into Lwo language.” Danton Opwoya wondered.
Deputy DPP far left, second left Komakech Kilama, and other two state Prosecutors at the moment of happiness, after their highlight summary submission in court
Lead Counsel of the defense, Opwoya clashes with Nighty Ajok, the Assessor on count 93, interjected where the Justice Elubu also ask the Assessor on count 88, the accused counsel says the PW 48 say when the issues was raised to her she agreed that count 93 PW48 testified that she has to agreed to be the wife of the accused.
PW48 did not proofed the indulgent, however, in count 93 PW, PW94, Proofed this indulgent beyond reasonable doubt that through indulgent is the principle of the count 88, PW 48, did proofed that the case of rape of count 88 with the accused, court not to find the accused guilty.
Also Opwonya argued that therefore, we advise this court not to find the accused guilty, the state prosecutor has proved beyond reasonable doubt, the SNS did not prove that did not refuse the accused also agreed that he has been having sex with all the women, and he apologies. Therefore the court proof that the accused to be find guilty on rape, on count 93, convict him and sentence to court.
Finally, “Court Registrar should not coach Assessors
Geoffrey Anyuru, equally lost hope by mere observation, although he did not comment, source who is close to him revealed the defense counsels teams they are only waiting to judges by the ICD, to convict their client Thomas Kwoyelo, then they will proceed to court of Apelles, sources indicated.
Wilfred Obali Jwee, the former Director of Program under PRDP, says if he has got all the due diligence or court procedure, then we lay people we cannot oppose the court position.
If the assessors were assessed rightly and they were found competent citizens to advices the court, then no problem. But, all in all I still feel they are standing on one side because they never and they were following orders.
“Other than Kwoyelo as an individual who has committed crimes we feel the Amnesty should have benefited from it when he surrendered to UPDF in 2009 given that he was abducted when he was 12 years old. Indoctrinated to all evil Acts, I feel his boss would have taken all responsibility, but all the same”
On August 2, 2024. Three I.C.D court Assessors appeared before four Judges summing up their submission Franklyn Odongkara, Ochen Daniel and Ajok Nighty all made their submission.
Franklyn Odongkara first made the short to present his summing up, says the first category is the great Law of Geneva convention, second category is going to be crimes against Humanity, and that one will be one Alternative justice.
Odongkara says Ajok is going to handle the first convention, the accused Thomas Kwoyelo Latoni changed with 18 counts, that first murder 8, 2,51,16, and 75.
Two of the pillages 13-17 counts and three counts of cruel treatment counts of 43,48, and 72, two of violent life counts 87 and 92.
6 counts of outrages against human dignity, counts 44, 49, 73, 88, 86 and 91.
My lord on the just counts of murder, the following international law to be proof and he was short by the assistant, to us we have proof that the accused committed crimes.
The third element, whether the dead occurred during arms conflict PW1,PW2, Pw 3, PW25,PW 31,PW48, Pw 52 all talk about the conflict between LRA and UPDF. Pw1 where the accused also confirmed that Arms has been the two.
The fourth element is that the death must have had a connection with the war; we found it with doubt, the state prosecutor made proof whether the deceased worked with UPDF. Because of the death of the deceased.
Roselyn Oyella, 101 years old, says her son left home for schooling like other children, now condemned to self made Uganda Military prison.
Tomorrow the world will celebrate human rights as he will be convicted to either life in prison, or more than 20 years.